Common Misconceptions About Website AMCs

<<<
Entry 1:
# Y2CN2O2
Calculated X-ray diffraction stick pattern, CuKα. Input: a cell relaxed with PBE.
No peak broadening, texture or thermal motion is included.

```
7
Lattice="3.743 0.000 0.000 -1.872 3.242 0.000 0.000 0.000 8.235" Properties=species:S:1:pos:R:3 pbc="T T T"
Y 0.000 2.161 1.462
Y 1.872 1.081 6.773
C 0.000 0.000 4.118
N 0.000 0.000 2.881
N 0.000 0.000 5.354
O 0.000 2.161 7.383
O 1.872 1.081 0.852
```

Peak list (10 most intense, 10° ≤ 2θ ≤ 90°, low angle first)
2θ = 10.74°, 8.235 Å, I 50
2θ = 21.58°, 4.118 Å, I 17
2θ = 29.62°, 3.016 Å, I 100
2θ = 32.62°, 2.745 Å, I 18
2θ = 35.24°, 2.547 Å, I 34
2θ = 43.19°, 2.095 Å, I 24
2θ = 48.65°, 1.872 Å, I 33
2θ = 52.67°, 1.738 Å, I 24
2θ = 57.99°, 1.590 Å, I 14
2θ = 59.81°, 1.546 Å, I 18



Entry 2:
# Y3Ga7Pt4
Calculated X-ray diffraction stick pattern, CuKα. Input: a cell relaxed with PBE.
No peak broadening, texture or thermal motion is included.

```
14
Lattice="7.949 -2.148 0.000 7.949 2.148 0.000 -5.421 0.000 7.639" Properties=species:S:1:pos:R:3 pbc="T T T"
Y 0.000 0.000 0.000
Y 3.252 0.000 2.314
Y 7.225 0.000 5.326
Ga -2.711 0.000 3.820
Ga 0.143 0.000 3.271
Ga -0.140 0.000 7.372
Ga 6.372 0.000 2.208
Ga 4.104 0.000 5.431
Ga 10.617 0.000 0.267
Ga 10.334 0.000 4.368
Pt -2.649 0.000 6.496
Pt 1.567 0.000 5.483
Pt 8.909 0.000 2.156
Pt 13.126 0.000 1.143
```

Peak list (10 most intense, 10° ≤ 2θ ≤ 90°, low angle first)
2θ = 26.59°, 3.353 Å, I 65
2θ = 34.99°, 2.564 Å, I 97
2θ = 35.29°, 2.543 Å, I 84
2θ = 35.55°, 2.526 Å, I 70
2θ = 35.69°, 2.516 Å, I 42
2θ = 41.80°, 2.161 Å, I 43
2θ = 42.07°, 2.148 Å, I 100
2θ = 44.54°, 2.034 Å, I 39
2θ = 49.27°, 1.849 Å, I 44
2θ = 67.69°, 1.384 Å, I 43



Entry 3:
# Dy3YTm8
Calculated X-ray diffraction stick pattern, CuKα. Input: a cell relaxed with PBE.
No peak broadening, texture or thermal motion is included.

```
12
Lattice="-3.177 5.566 5.609 3.177 -5.566 5.609 3.177 5.566 -5.609" Properties=species:S:1:pos:R:3 pbc="T T T"
Dy 0.000 0.000 0.000
Dy 3.177 0.000 2.804
Dy 0.000 5.566 2.805
Y 0.000 0.000 5.609
Tm 3.177 3.691 -2.806
Tm 1.588 2.775 0.000
Tm 4.766 2.775 0.000
Tm 0.000 1.875 2.803
Tm 3.177 3.691 2.806
Tm -1.589 2.791 5.609
Tm 1.589 2.791 5.609
Tm 0.000 1.875 8.415
```

Peak list (10 most intense, 10° ≤ 2θ ≤ 90°, low angle first)
2θ = 22.55°, 3.943 Å, I 19
2θ = 27.84°, 3.204 Å, I 22
2θ = 31.91°, 2.805 Å, I 53
2θ = 32.17°, 2.782 Å, I 100
2θ = 32.41°, 2.763 Å, I 78
2θ = 36.29°, 2.476 Å, I 37
2θ = 46.15°, 1.967 Å, I 18
2θ = 52.35°, 1.748 Å, I 22
2θ = 57.53°, 1.602 Å, I 20
2θ = 67.31°, 1.391 Å, I 27



Entry 4:
# Tb2Dy5ErSc
Calculated X-ray diffraction stick pattern, CuKα. Input: a cell relaxed with PBE.
No peak broadening, texture or thermal motion is included.

```
18
Lattice="2.754 -9.962 0.000 2.754 9.962 0.000 0.000 0.000 10.318" Properties=species:S:1:pos:R:3 pbc="T T T"
Tb 2.754 7.738 5.159
Tb 2.754 7.683 9.539
Tb 2.754 -7.683 4.381
Tb 2.754 -7.738 0.000
Dy 2.754 9.625 2.103
Dy 2.754 4.488 5.246
Dy 2.754 3.984 9.208
Dy 2.754 2.488 2.150
>>>

Annual Maintenance Contracts (AMCs) for websites are crucial in ensuring that websites stay up-to-date, secure, and perform optimally. However, there are several common misconceptions about what AMCs entail and their benefits. This blog post aims to clarify these misconceptions, providing a clearer understanding of how AMCs work and their value to businesses.

Misconception 1: AMCs Are Only for Large Websites

Reality: AMCs are beneficial for websites of all sizes. While it’s true that large, complex websites with high traffic volumes might have more intricate maintenance needs, small to medium websites also require regular updates, security checks, and optimizations to ensure they function properly and remain secure.

Misconception 2: AMCs Are Too Expensive

Reality: The cost of an AMC is often less than the cumulative expense of emergency repairs, security breaches, and downtime. AMCs provide predictable costs that can be budgeted for in advance, which helps in financial planning. Moreover, the regular upkeep can help prevent issues that could lead to much more costly fixes down the line.

Misconception 3: My Website Doesn’t Change, So I Don’t Need an AMC

Reality: Even if the content on your website rarely changes, the digital environment around it does. Software updates, security threats, and new technologies continue to evolve, necessitating regular updates and maintenance. An AMC ensures your website remains compatible with new browsers and protected against emerging security vulnerabilities.

Misconception 4: AMCs Cover Everything Automatically

Reality: While AMCs cover a broad range of maintenance tasks, the specific inclusions can vary based on the service provider and the plan chosen. It’s important to review the details of what your AMC covers. Some services, like major redesigns or content creation, may not be included and could be charged extra.

Misconception 5: I Can Easily Handle Maintenance Myself

## The entry is interrupted by materials data
-- begin --
This entry pairs a crystal structure of Sr2NdZn6 with its simulated X-ray powder pattern. Radiation: Cu Ka. Structure: a crystal structure in Alexandria, relaxed with PBE.
No peak broadening, texture or thermal motion is included.

Largest 6 diffraction maxima, by angle, 2θ from 15° to 90°:
d = 2.807 Å, intensity 100; d = 2.293 Å, intensity 55; d = 1.984 Å, intensity 14; d = 1.776 Å, intensity 26; d = 1.500 Å, intensity 29; d = 1.404 Å, intensity 23

Crystal structure
```
Sr2NdZn6
1.0
7.9444 0.0000 0.0000
-3.9722 6.8800 0.0000
0.0000 0.0000 3.9671
Sr Nd Zn
2 1 6
direct
0.3333 0.6667 0.0000
0.6667 0.3333 0.0000
0.0000 0.0000 0.0000
0.0000 0.3296 0.5000
0.0000 0.6704 0.5000
0.3296 0.0000 0.5000
0.3296 0.3296 0.5000
0.6704 0.0000 0.5000
0.6704 0.6704 0.5000
```


This entry pairs a crystal structure of NdTaTi2 with its simulated X-ray powder pattern. Radiation: Cu Ka. Structure: a crystal structure in Alexandria, relaxed with PBE.
No peak broadening, texture or thermal motion is included.

Largest 6 diffraction maxima, by angle, 2θ from 15° to 90°:
d = 3.542 Å, intensity 25; d = 3.469 Å, intensity 40; d = 2.478 Å, intensity 100; d = 2.453 Å, intensity 54; d = 2.017 Å, intensity 22; d = 1.421 Å, intensity 34

Crystal structure
```
NdTaTi2
1.0
3.4688 0.0000 0.0000
0.0000 3.4688 0.0000
0.0000 0.0000 7.0846
Nd Ta Ti
1 1 2
direct
0.0000 0.0000 0.0000
0.0000 0.0000 0.5000
0.5000 0.5000 0.3050
0.5000 0.5000 0.6950
```


This entry pairs a crystal structure of Tb13Nd3 with its simulated X-ray powder pattern. Radiation: Cu Ka. Structure: a crystal structure in Alexandria, relaxed with PBE.
No peak broadening, texture or thermal motion is included.

Largest 6 diffraction maxima, by angle, 2θ from 15° to 90°:
d = 2.925 Å, intensity 100; d = 2.533 Å, intensity 51; d = 1.791 Å, intensity 36; d = 1.529 Å, intensity 29; d = 1.526 Å, intensity 14; d = 1.463 Å, intensity 12

Crystal structure
```
Tb13Nd3
1.0
10.1191 0.0000 0.0000
0.0000 5.0693 5.0721
0.0000 -5.0693 5.0721
Tb Nd
13 3
direct
0.0000 0.0002 0.0002
0.0000 0.9999 0.4975
0.0000 0.4972 0.4972
0.0000 0.4975 0.9999
0.2488 0.2479 0.2479
0.2490 0.2480 0.7491
0.2490 0.7491 0.2480
0.5000 0.0000 0.0000
0.5000 0.0000 0.4972
0.5000 0.4972 0.0000
0.7512 0.2479 0.2479
0.7510 0.2480 0.7491
0.7510 0.7491 0.2480
0.2493 0.7493 0.7493
0.5000 0.4972 0.4972
0.7507 0.7493 0.7493
```


This entry pairs a crystal structure of Tb7Nd5 with its simulated X-ray powder pattern. Radiation: Cu Ka. Structure: a crystal structure in Alexandria, relaxed with PBE.
No peak broadening, texture or thermal motion is included.

Largest 6 diffraction maxima, by angle, 2θ from 15° to 90°:
d = 3.032 Å, intensity 43; d = 2.925 Å, intensity 35; d = 2.766 Å, intensity 100; d = 2.445 Å, intensity 24; d = 1.812 Å, intensity 26; d = 1.541 Å, intensity 30

Crystal structure
```
Tb7Nd5
1.0
9.4090 -1.8139 0.0000
9.4090 1.8139 0.0000
-6.2720 0.0000 11.7000
Tb Nd
7 5
direct
0.0000 0.0000 0.0000
0.1378 0.1378 0.7486
0.1662 0.1662 0.4976
0.4725 0.4725 0.7497
-- stop --

Reality: While it’s possible for businesses to manage their own website maintenance, this requires time, technical knowledge, and continuous attention. Professional AMC providers are equipped with the expertise and tools to efficiently handle complex tasks and issues that might be challenging and time-consuming for someone without specialized skills.

Misconception 6: AMCs Limit My Control Over My Website

Reality: Some business owners worry that signing up for an AMC means they will lose control over their website. In reality, professional AMC providers work collaboratively with their clients, making recommendations and implementing changes that are approved and desired by the website owner. The goal is to enhance the website’s performance and security while respecting the owner’s preferences and requirements.

**Crystal structures from another source follow**
~~~
(1)
This entry pairs a crystal structure of Rb3FeO3 with its calculated powder diffractogram. Radiation: Cu Kα (λ = 1.5418 Å). Structure: the GGA+U geometry in the Materials Project.

Atomic structure:
Unit cell a=5.0427 b=12.5011 c=11.5868 alpha=90.00 beta=102.97 gamma=90.00
Fractional coordinates of all 28 atoms:
1 Rb 0.0088 0.2345 0.0371
2 Rb 0.0088 0.2655 0.5371
3 Rb 0.2300 0.5105 0.8767
4 Rb 0.2300 0.9895 0.3767
5 Rb 0.3952 0.0849 0.8612
6 Rb 0.3952 0.4151 0.3612
7 Rb 0.6048 0.5849 0.6388
8 Rb 0.6048 0.9151 0.1388
9 Rb 0.7700 0.0105 0.6233
10 Rb 0.7700 0.4895 0.1233
11 Rb 0.9912 0.7345 0.4629
12 Rb 0.9912 0.7655 0.9629
13 Fe 0.3054 0.6824 0.2430
14 Fe 0.3054 0.8176 0.7430
15 Fe 0.6946 0.1824 0.2570
16 Fe 0.6946 0.3176 0.7570
17 O 0.1419 0.6850 0.7167
18 O 0.1419 0.8150 0.2167
19 O 0.2670 0.5886 0.1173
20 O 0.2670 0.9114 0.6173
21 O 0.4515 0.6367 0.3929
22 O 0.4515 0.8633 0.8929
23 O 0.5485 0.1367 0.1071
24 O 0.5485 0.3633 0.6071
25 O 0.7330 0.0886 0.3827
26 O 0.7330 0.4114 0.8827
27 O 0.8581 0.1850 0.7833
28 O 0.8581 0.3150 0.2833

Largest 10 diffraction maxima, sorted by position, 5° ≤ 2θ ≤ 70°:
2theta	d [Å]	I_rel
19.4	4.579	289
22.7	3.909	367
23.0	3.864	408
25.5	3.488	1000
26.6	3.353	875
27.5	3.238	339
30.3	2.952	395
34.9	2.573	647
36.4	2.472	429
39.4	2.285	381

(2)
This entry pairs a crystal structure of Li2Fe3WO8 with its calculated powder diffractogram. Radiation: Cu Kα (λ = 1.5418 Å). Structure: the GGA+U geometry in the Materials Project.

Atomic structure:
Unit cell a=6.0508 b=6.0508 c=9.7810 alpha=90.00 beta=90.00 gamma=120.05
Fractional coordinates of all 28 atoms:
1 Li 0.0026 0.9974 0.5000
2 Li 0.3318 0.6682 0.4221
3 Li 0.6682 0.3318 0.9221
4 Li 0.9974 0.0026 0.0000
5 Fe 0.1682 0.8318 0.7247
6 Fe 0.1729 0.3443 0.7285
7 Fe 0.3443 0.1729 0.2285
8 Fe 0.6557 0.8271 0.7285
9 Fe 0.8271 0.6557 0.2285
10 Fe 0.8318 0.1682 0.2247
11 W 0.3348 0.6652 0.0001
12 W 0.6652 0.3348 0.5001
13 O 0.0047 0.9953 0.3112
14 O 0.0440 0.5053 0.8692
15 O 0.1759 0.8241 0.1023
16 O 0.1915 0.3458 0.0994
17 O 0.3363 0.6637 0.6234
18 O 0.3458 0.1915 0.5994
19 O 0.4818 0.5182 0.8579
20 O 0.4947 0.9560 0.8692
21 O 0.5053 0.0440 0.3692
22 O 0.5182 0.4818 0.3579
23 O 0.6542 0.8085 0.0994
24 O 0.6637 0.3363 0.1234
25 O 0.8085 0.6542 0.5994
26 O 0.8241 0.1759 0.6023
27 O 0.9560 0.4947 0.3692
28 O 0.9953 0.0047 0.8112

Largest 10 diffraction maxima, sorted by position, 5° ≤ 2θ ≤ 70°:
2theta	d [Å]	I_rel
19.2	4.618	1000
24.9	3.575	284
32.3	2.768	348
34.9	2.572	444
35.5	2.530	247
44.4	2.042	193
49.7	1.835	151
54.2	1.692	186
58.9	1.567	190
61.3	1.512	166

(3)
This entry pairs a crystal structure of Mn2PClO4 with its calculated powder diffractogram. Radiation: Cu Kα (λ = 1.5418 Å). Structure: the GGA+U geometry in the Materials Project.

Atomic structure:
Unit cell a=11.5350 b=8.1794 c=4.9844 alpha=90.00 beta=90.00 gamma=90.00
Fractional coordinates of all 32 atoms:
1 Mn 0.1203 0.1041 0.0000
2 Mn 0.1243 0.6545 0.9968
3 Mn 0.3757 0.1545 0.4968
4 Mn 0.3797 0.6041 0.5000
~~~

Misconception 7: An AMC Means My Website Will Never Have Issues

Reality: While AMCs significantly reduce the likelihood of problems and minimize the impact of those that do occur, they can’t guarantee that a website will never have any issues. What an AMC does provide is the assurance that any problems will be addressed promptly and professionally, often before they can affect the website’s functionality or security.


Understanding the realities behind these common misconceptions can help businesses make more informed decisions about investing in an AMC. An Annual Maintenance Contract is a proactive and preventive measure that keeps your website healthy and performing well, ensuring it supports your business effectively and remains a reliable resource for your customers.